“Here her heart hovers” as part of “My Oma”, Kunstinstituut Melly. 
photograph by Floor Besuijen

-- Inserted here: calculated molecules --
┌──
P | Here is a single C6H11NO molecule from the Open Molecules 2025 dataset. Energies are from ωB97M-V with the def2-TZVPD basis set.

As for the spin multiplicity: 1. The HOMO-LUMO gap comes out at 8.991 eV. The net charge is 0. Its SMILES is C[C@]12C[C@@H]1OC[C@H]2N. Its lowest unoccupied orbital energy is 0.94 eV.

Geometry (Å):
C1 0.67241 -0.50643 1.54481
C2 0.11486 0.42052 0.71707
C3 -1.07419 0.98043 1.43150
C4 -1.25703 0.40935 0.06385
C5 -0.32928 -1.08417 -1.01954
C6 0.75745 0.13375 -0.60107
H1 -0.07794 -1.34132 1.93487
H2 1.15274 0.09555 2.22032
H3 1.67856 -1.22833 1.18340
H4 -1.10877 2.14045 1.30732
H5 -1.03356 0.54989 2.40470
H6 -1.01753 1.15659 -0.91129
H7 -0.12344 -2.21741 -0.92949
H8 -0.24548 -0.90630 -2.10479
H9 1.86509 -0.14736 -0.33802
H10 1.32593 0.56783 -2.68293
H11 -0.35009 1.00990 -1.97953
N1 0.67643 0.96116 -1.81360
O1 -1.62619 -0.99409 -0.42758

---

Q | Here is a molecular structure, C6H11NO from the Open Molecules 2025 dataset. Energies are from ωB97M-V with the def2-TZVPD basis set.

As for the spin multiplicity: 1. The HOMO-LUMO gap (spin up / spin down) comes out at 7.508 / 7.928 eV. The net charge is 0. Its lowest unoccupied orbital energy (spin up / spin down) is -0.17 / -0.03 eV.

Geometry (Å):
C1 -2.44529 0.21409 -0.86796
C2 -1.74039 1.35929 -0.42575
O1 -0.51723 0.48536 -0.81549
H1 -1.67227 1.53473 0.64899
H2 -2.71033 -0.56686 -0.16914
H3 -2.82209 0.15576 -1.88417
H4 -1.73758 2.24449 -1.05518
C3 0.93958 -1.95413 0.42558
C4 0.89086 -0.61067 1.09525
C5 0.95782 0.59394 0.20723
C6 1.78798 0.64529 -0.90569
N1 0.65950 -0.54773 2.34397
H5 0.61252 0.41816 2.67574
H6 0.87659 1.52493 0.77647
H7 1.93407 -2.13020 0.00909
H8 0.22158 -1.98217 -0.39688
H9 0.70414 -2.73285 1.14846
H10 2.00010 -0.24602 -1.47174
H11 2.06042 1.59459 -1.33879

---

Which structure is most stable, and how do the rest compare? From most to least stable: Q, P.

---

P | Here is a single C7H14O2 molecule from the Open Molecules 2025 dataset. Energies are from ωB97M-V with the def2-TZVPD basis set.

As for the spin multiplicity: 1. The HOMO-LUMO gap comes out at 10.288 eV. The net charge is 0. Its SMILES is CC[C@@H](C)[C@@H](C)C(=O)O. Its lowest unoccupied orbital energy is 0.79 eV.

Geometry (Å):
C1 0.11153 0.31511 0.44874
C2 0.55271 -0.69281 -0.55322
C3 -1.39261 0.82265 -0.20166
C4 0.03579 -0.22677 1.86892
C5 0.45635 -0.45737 -2.04787
C6 -2.57643 0.94652 0.74094
C7 2.26679 -0.89982 -0.16726
O1 3.07989 -0.10620 -0.91547
O2 2.75985 -1.64097 0.66184
H1 3.99313 -0.33260 -0.64173
H2 0.73989 1.21089 0.43380
H3 0.13838 -1.67875 -0.32257
H4 -1.77529 0.33749 -1.10178
H5 -1.11117 1.82539 -0.54174
H6 1.02672 -0.17534 2.33344
H7 -0.29077 -1.26980 1.88833
H8 -0.63055 0.34045 2.52106
H9 0.72374 0.56741 -2.31697
H10 1.13553 -1.13434 -2.57607
H11 -0.54225 -0.69426 -2.42603
H12 -3.33950 1.61012 0.31905
H13 -3.05761 -0.02661 0.88042
H14 -2.30413 1.35960 1.71581

---
└──


written for “Here her heart hovers”, performance by Laure Prouvost. 


My grandma (baba) lives with us - or rather we with her. We moved in after her house got robbed a couple of times. I was very little, and i only remember my mom being very upset and telling me how most if not all of the jewelry she brought back from Ukraine, Russia or Belarus got stolen.

_Quantum chemistry results that have nothing to do with the entry_
┌──
The following is a DFT calculation (the ωB97M-V functional and the def2-TZVPD basis) of a cluster of 11 separate species, C66H162N10O24 in total in a non-equilibrium geometry.

Its spin multiplicity is 1. As for the HOMO energy: -14.176 eV. Its total charge is +8. As for the total energy: -135008.018 eV. The value obtained for the HOMO-LUMO gap is 0.1331 hartree. Its relative energy (zero: lowest compared OMol25 entry of this formula, charge and spin) is 23.81 kJ/mol.

Last column: Mulliken charge in e.
Positions of all 262 atoms, in Å:
H 9.4472 1.2393 -11.2804  0.218
H -1.3884 -3.7505 -2.8738  0.250
H 0.8663 -4.4565 -1.6965  0.394
H -2.7148 -16.6574 -4.3821  0.321
H 8.9314 -1.6412 -1.3757  0.427
H 1.2661 -12.3105 -12.0936  0.440
C -4.9415 -9.5235 -7.1171  -0.551
H 16.0257 -14.9541 -9.3539  0.339
H 17.4008 -12.9357 -7.8300  0.383
H -7.2137 -9.3648 -4.8574  0.278
H 7.4123 -4.4171 -8.8437  0.522
H -0.2874 -5.5344 -16.9478  0.398
H 2.8099 -1.2883 -3.6618  0.288
H -0.2618 -1.8216 -3.9577  0.399
H 5.3067 -0.6381 -8.8187  0.468
O 4.9768 -18.6560 -11.6905  -0.340
O -1.9659 -5.9348 -2.8348  -0.196
N -4.3346 -7.0850 -7.2103  -0.183
C -3.9149 -7.8688 -16.5477  -0.797
C 4.7007 -7.4261 -5.0382  0.476
H 12.1406 -12.4648 -1.1338  0.337
O 0.8377 -19.6366 -14.6872  -0.317
C -3.2478 -5.9384 -2.1468  -0.861
H 0.3942 -3.5634 -0.4398  0.400
H -3.2552 -8.8075 -8.3615  0.408
C 1.7254 -19.1455 -15.6747  -0.546
H 3.0770 -6.9752 -14.9368  0.410
C 2.5723 -8.7770 -16.8279  -0.738
H 10.8287 -12.0306 -2.2540  0.392
H 3.9132 -19.3386 -15.8968  0.376
H -2.3662 -20.3240 -3.9959  0.423
H 18.2311 -14.6505 -5.4185  0.396
C 16.1497 -13.8733 -9.2861  -0.575
H 2.7873 -20.1413 -13.1640  0.362
H 4.9470 -17.1791 -10.3117  0.255
C 3.7382 -8.6044 -6.9337  0.307
C 1.3854 -6.0703 -16.0010  -0.802
C -0.6677 -3.1926 -2.2760  -0.542
C 4.7589 -20.4129 -13.3185  -0.710
H -1.7064 -8.0672 -15.2019  0.424
C 3.1230 -14.4133 -13.3003  -0.813
H -5.8383 -9.5324 -7.7365  0.426
H 4.8130 -21.4913 -13.4672  0.406
O 9.9801 -5.9495 1.6331  -0.421
C -2.7882 -17.7416 -4.4675  -0.885
C -3.8040 -8.5331 -7.4606  -0.679
O 7.5163 1.0178 -10.9385  -0.398
C 5.7486 -8.5619 -4.8732  0.450
H -4.7581 -4.3397 -8.3051  0.474
H -0.4019 -7.1778 -16.6644  0.380
C 0.7620 -13.3530 -6.4290  -0.753
H 1.4554 -5.0236 -15.7049  0.399
H 18.7295 -12.4486 -4.9340  0.308
H 9.4886 -2.6363 -7.6083  0.351
H -6.0587 -3.5297 -5.0804  0.231
H 10.6029 -7.2061 3.1752  0.336
N 11.6942 -10.2847 -1.3798  -0.183
H 2.0691 -20.3743 -2.3338  0.324
H 6.8900 -4.6831 1.8245  0.328
H 2.3841 -9.8053 -17.1366  0.242
H 0.7816 -15.5901 -10.2087  0.235
N 3.4681 -19.6877 -13.7564  -0.088
H -3.3037 -3.7943 -7.4812  0.395
H 11.6494 -5.7678 3.0839  0.318
H -0.7994 -14.6960 -10.0308  0.417
H 5.5475 -20.0147 -13.9570  0.407
C 4.7908 -9.7601 -6.7518  0.464
C 14.1462 -10.2487 -1.7850  -0.391
H -4.5724 -7.6401 -17.3864  0.297
O 14.0337 -13.6880 -8.2152  -0.322
H -2.7594 -6.9717 -14.3589  0.495
C 7.4024 -3.3449 -9.0399  -0.591
C -3.3649 -5.9525 -7.5121  -0.625
└──

Not all of it because i have two rings
She got in Kiev after she moved
She was the first of her family to study abroad, and shes still in deep love with Ukraine

My grandma wasn’t home much as a mother,
Which in the 60s probably wasnt great
My grandma was divorced,
Which in the 60s probably wasn’t great.

My grandma saw communism, saw the wars, saw the fall

My grandma wasn’t home much, because, my mom said, she was out until early morning playing cards at the translators’ club.
The translators’ club or the literary club or the journalists’ club. Sofia at that time was littered with clubs and associations and they were a big deal, she said.

She’d play cards until early and drink until early and then sleep a bit and work. And translate, translate, read and write.

My grandma can’t walk. Or she does, but it’s difficult. My grandma now is always at home. She plays card games on her laptop, reads and types on her laptop, and translates, translates, shes a bad cook. I don’t like her cooking at all. But she’s at home all day, reads and smokes and plays cards on her laptop. And translates.

My grandma speaks a lot to my mom and much less to me. We went out once - she took me to her book launch at a big residence in the mountain. The book she wrote was the first bulgarian-ukrainian dictionary.

I think we have more books in foreign languages at home than in our mother tongue.

My grandma wasn’t home much but i have two rings to show for it. Two rings that are too big for me and i wonder how swollen her fingers would get from translating on a typewriter all day.

My grandma used to drive. She had a car with only two doors my mom said, white, and the windows at the back wouldn’t open. She said it would be a gas chamber when grandma started smoking.

They would go for months at the sea because the translators’ club had a residence at the seaside.

_Someone pasted data records at this point_
********
(1)
DFT (ωB97M-V with the def2-TZVPD basis set) results for C29H40Cl2N9O11Y as an isolated structure at a distorted geometry.

ORCA input file:
```
! wB97M-V def2-TZVPD RIJCOSX def2/J DEFGRID3
* xyz -2 1
Y -0.194 0.127 1.004
Cl -0.167 -0.161 8.890
C 0.117 0.037 7.167
C 1.303 0.660 6.739
C 1.543 0.819 5.409
Cl 3.017 1.588 4.901
C 0.630 0.377 4.365
O 0.898 0.555 3.168
C -0.567 -0.251 4.873
C -1.593 -0.769 4.009
O -1.644 -0.763 2.788
C -0.791 -0.407 6.253
H 2.023 1.013 7.465
H -2.426 -1.255 4.555
H -1.705 -0.888 6.583
N 1.263 -1.212 -0.688
C 1.367 -2.636 -0.411
C 2.726 -3.223 -0.809
C 2.827 -4.750 -0.850
C 1.693 -5.451 -1.610
N 0.513 -5.562 -0.762
C -0.725 -5.230 -1.131
N -1.085 -5.148 -2.428
N -1.653 -5.004 -0.211
C 1.008 -2.938 1.067
O 0.825 -4.171 1.362
O 0.927 -2.002 1.861
H 0.886 -1.036 -1.608
H 2.148 -0.734 -0.546
H 0.604 -3.116 -1.026
H 3.499 -2.792 -0.169
H 2.927 -2.861 -1.827
H 2.862 -5.158 0.163
H 3.772 -5.018 -1.331
H 2.028 -6.451 -1.899
H 1.470 -4.896 -2.530
H 0.685 -5.124 0.215
H -0.416 -5.309 -3.155
H -1.976 -4.739 -2.654
H -1.235 -4.758 0.687
H -2.428 -4.357 -0.455
C -3.489 2.893 0.433
C -3.632 1.474 0.090
N -2.749 0.463 0.173
C -3.380 -0.656 -0.301
C -4.663 -0.367 -0.709
N -4.779 0.973 -0.469
C -5.802 -1.089 -1.307
O -5.654 -2.384 -1.534
O -6.834 -0.503 -1.577
C -2.654 -1.944 -0.351
O -3.248 -2.977 -0.832
O -1.487 -1.967 0.059
H -1.588 2.531 1.415
H -4.151 3.158 1.262
H -3.752 3.509 -0.440
H -5.596 1.531 -0.644
H -4.722 -2.675 -1.244
C -0.970 4.691 -1.259
C -1.406 3.864 -2.462
N -0.326 3.096 -3.078
C 0.268 3.629 -4.282
C 1.116 4.881 -4.056
C 0.231 2.040 -2.385
C 1.550 1.501 -2.882
N -0.256 1.552 -1.317
H -1.832 5.218 -0.848
H -0.198 5.412 -1.539
H -0.571 4.060 -0.467
H -1.818 4.508 -3.245
H -2.209 3.185 -2.163
H -0.536 3.859 -4.990
H 0.873 2.853 -4.751
H 0.498 5.704 -3.696
H 1.597 5.196 -4.986
H 1.882 4.693 -3.303
H 2.235 2.305 -3.151
H 1.419 0.848 -3.750
H 1.983 0.943 -2.066
H -1.123 1.978 -0.993
O -0.686 2.070 1.529
O 3.646 -0.485 0.867
C 3.476 0.737 0.872
C 4.624 1.707 1.163
C 4.031 3.050 0.782
C 2.607 2.693 0.313
O 1.905 3.511 -0.253
N 2.321 1.381 0.589
H 5.494 1.421 0.568
H 4.893 1.614 2.216
H 4.557 3.550 -0.033
H 3.952 3.755 1.611
*
```

Calculated values
Orbital gap, eV: 4.71
Energy above the lowest of the compared OMol25 structures with the same formula, charge and spin, kJ/mol: 0.0
HOMO energy, eV: -1.00
LUMO level, eV: 3.72
DFT total energy, Ha: -3408.669439



(2)
DFT (ωB97M-V with the def2-TZVPD basis set) results for C29H40F3IrN5O5Si as an isolated structure at a distorted geometry.

ORCA input file:
```
! wB97M-V def2-TZVPD RIJCOSX def2/J DEFGRID3
* xyz 2 6
Ir -1.325 -0.248 1.204
C -2.264 -4.257 0.704
C -0.840 -3.849 0.751
N -0.449 -2.601 0.925
C 0.919 -2.551 0.758
C 1.377 -3.795 0.560
N 0.259 -4.588 0.576
C 2.676 -4.439 0.227
O 3.784 -3.689 0.231
O 2.719 -5.598 -0.055
C 1.632 -1.251 0.680
O 2.870 -1.209 0.573
O 0.911 -0.141 0.772
H -2.946 -3.391 0.446
H -2.536 -4.739 1.569
H -2.440 -5.025 -0.053
H 0.268 -5.503 0.117
********

After communism it got privatized.
They all did

My grandma once got a big package of canned prunes. It was from the government. Because she’s disabled, they said, it’s help from the government. There was also some spaghetti.

My grandma has the tv on while she plays cards on her laptop. It’s turned off while shes working.

When it’s on, it’s in a foreign language.